HealthManagement, Volume 17 - Issue 1, 2017


As the United States moves to value-based healthcare, how should radiology concentrate on delivering better value, both at the individual and organisational level?


Radiology across the world is facing the same challenges.  There was a time, before digitised films, picture archive and communication systems (PACS) and computers to view the images, when the images were printed out as hard copies. If clinicians wanted to look at the films, they had to come down to the radiology department and talk to the radiologist. That was extremely helpful to radiology and to clinical services, because we had that contact between primary care, the physician, the surgeon and the radiologist. Some senior radiologists say that at that time we were considered the doctor’s doctor, because the surgeon wasn’t going to operate without going over the films with the radiologist; the primary care doctor wasn’t necessarily going to treat the patient without going through the film with the radiologist and so on. That has all changed. Physicians look at their films remotely. It is a rarity for a clinician to come down and go over cases with us. They still do, but not as much as before. I think this has made radiology and radiologists much more of a commodity, because we are not presumed to be part of a value-based team.


We recognise that this is an issue that we have to focus on. There are initiatives underway to address this. The American College of Radiology (ACR) has been instrumental, along with the Radiology Society of North America (RSNA), and the European and world radiology community is active as well. For example, the ACR’s Imaging 3.0 initiative is asking us to be less concerned about the volume but to focus more on value. I think it is a big challenge still. There are a lot of films that need to be read. We want to get to value, but we’ve got to get the work done. What makes it easier is that there’s legislation in this country. The Medicare Access and CHIP Reauthorization Act (MACRA), is asking us to demonstrate and provide value. This will make it easier for radiologists to focus on doing those things that are examples of how we can provide value. The most important thing is to collaborate with the referring physicians. This may be as easy as stepping away from the reading station, where we’re very marginalised, and joining our colleagues on intensive care rounds, for example. In intensive care rounds, you have the gastroenterologist, cardiologist, pulmonary physician—there is no reason that the radiologist can’t be there as well. There are computer monitors there, or we can bring along a tablet and go over the images. We are part of the team and we want to help the patient.

Crystal structures from another source follow:
=====
Here is a geometry-optimized SiHg2As structure from Alexandria. Energies are from GGA-PBE.

Unit cell a=6.4216 b=6.4216 c=6.9649 alpha=62.55 beta=62.55 gamma=90.00
Fractional positions:
Si1 0.2500 0.7500 0.5000
Si2 0.5000 0.5000 0.0000
Hg1 0.1364 0.6250 0.2500
Hg2 0.3750 0.3864 0.7500
Hg3 0.8750 0.8636 0.7500
Hg4 0.6136 0.1250 0.2500
As1 0.7500 0.2500 0.5000
As2 0.0000 0.0000 0.0000

Values from the calculation:
Energy relative to the lowest polymorph listed for this composition in kJ per mole of atoms: 39.3
ΔE_f (raw) in meV/atom: 508.2
Total moment in μB/f.u.: 0.00
SG: I-42d (122)

~~~~~

[1]
This record from Alexandria via LeMat-Bulk describes an optimized crystal structure of Si3NiMo. The functional is PBE. Values from VASP.

The structure in Quantum ESPRESSO input format:
```
&SYSTEM
  ibrav = 0, nat = 5, ntyp = 3
/
ATOMIC_SPECIES
Mo 95.94 Mo.upf
Si 28.09 Si.upf
Ni 58.69 Ni.upf
ATOMIC_POSITIONS angstrom
Mo 2.151 -2.954 -0.859
Si 1.746 -0.642 1.112
Si 1.087 -0.258 -1.857
Si -0.682 -2.054 -0.114
Ni 0.000 0.000 0.000
CELL_PARAMETERS angstrom
-1.364 -4.108 -0.228
2.175 -0.516 -3.714
3.493 -1.283 2.223
```

## Properties
Energy above the most stable polymorph in this dataset (meV/atom): 0
Size of the total moment (μB per atom): 0.456
Formation energy (no corrections) (eV per atom): 0.809
DOS at the Fermi energy (states/eV per atom): 0.76

***

[2]
This record from Alexandria via LeMat-Bulk describes an optimized crystal structure of ZnSiTc3. The functional is PBE. Values from VASP.

The structure in Quantum ESPRESSO input format:
```
&SYSTEM
  ibrav = 0, nat = 5, ntyp = 3
/
ATOMIC_SPECIES
Si 28.09 Si.upf
Tc 98.00 Tc.upf
Zn 65.41 Zn.upf
ATOMIC_POSITIONS angstrom
Si 0.000 0.000 0.000
Tc -1.780 -1.279 -0.218
Tc -0.817 0.818 1.874
Tc 1.007 -1.596 1.136
Zn -1.590 -2.056 2.792
CELL_PARAMETERS angstrom
-3.560 -2.557 -0.436
2.014 -3.191 2.272
-1.635 1.637 3.749
```

## Properties
Energy above the most stable polymorph in this dataset (meV/atom): 0
Size of the total moment (μB per atom): 0.000
Formation energy (no corrections) (eV per atom): 0.872
DOS at the Fermi energy (states/eV per atom): 1.09

***

[3]
This record from Alexandria via LeMat-Bulk describes an optimized crystal structure of CaTl2Se2. The functional is PBE. Values from VASP.

The structure in Quantum ESPRESSO input format:
```
&SYSTEM
  ibrav = 0, nat = 10, ntyp = 3
/
ATOMIC_SPECIES
Ca 40.08 Ca.upf
Se 78.96 Se.upf
Tl 204.38 Tl.upf
ATOMIC_POSITIONS angstrom
Ca 0.561 -2.000 -5.269
Ca 0.000 0.000 0.000
Se -1.747 -0.185 -5.361
Se 0.224 -2.574 -8.130
Se 2.870 -3.815 -5.176
Se 0.899 -1.426 -2.407
Tl -2.995 -2.729 -6.735
Tl -2.171 -2.130 -2.467
Tl 1.215 -4.909 -2.730
Tl 0.390 -5.509 -6.999
CELL_PARAMETERS angstrom
-3.900 1.076 -6.912
5.023 -5.077 -3.625
-2.903 -3.638 1.072
```

## Properties
Size of the total moment (μB per atom): 0.000
Formation energy (no corrections) (eV per atom): -0.720
DOS at the Fermi energy (states/eV per atom): 0.14

***

[4]
=====


Patient-centered medicine is also a huge focus. It is bringing the patient to the centre of care. Producing a value-based report means reviewing the patient’s chart, to tie the description of the findings into what is going on, giving an informed interpretation as any specialist would do. The ACR has established a Commission on Patient and Family Centered Care to address this important issue, and I serve on the Commission's Outreach committee.


We have to focus on outcomes: are we doing appropriate imaging? Are we reducing incidental findings? How do we address incidental findings? We don’t want patients to get more imaging, if they don’t have to: it’s unnecessary radiation exposure, and it costs the patients. The Image Wisely® and Image Gently® initiatives have helped to address radiation safety concerns and to decrease the exposure to the patient as well as to eliminate unnecessary procedures.


Radiology has to be integral to hospitals: we can’t just sit in our reading room and read films. We need to serve on hospital committees. We need to be part of our culture. For the hospital community as a whole, there is no reason that we shouldn’t be going to local organisations outside of medicine, outside of the hospital and helping. We have a lot to contribute. We can certainly contribute in mammography. We can educate the public. These are all things that we can do so that radiology isn’t perceived as someone sitting in their dark room not contributing to patient care and overall healthcare.

**Misplaced materials data:**
-- begin --
[1]
CePmHoSe3 | PBE | relaxed

The space group is P2_1/m (No. 11) and the conventional cell measures 8.035, 4.069 and 10.408 Å, with angles of 90.00, 102.88 and 90.00 degrees. Symmetry generates all atoms from Ce at (0.176, 0.250, 0.116), Pm at (0.182, 0.250, 0.704), Ho at (0.335, 0.750, 0.402), Se at (0.092, 0.250, 0.393), Se at (0.210, 0.750, 0.922) and Se at (0.465, 0.750, 0.683).

Its formation energy from raw total energies is -1.580 eV/atom. The calculation puts the density of states at the Fermi level at 7.55 states/eV/f.u.



[2]
CePm2Ho3Se6 | PBE | relaxed

The space group is C2/m (No. 12) and the conventional cell measures 18.073, 4.088 and 8.345 Å, with angles of 90.00, 104.46 and 90.00 degrees. Symmetry generates all atoms from Ce at (0.000, 0.000, 0.000), Pm at (0.166, 0.500, 0.331), Ho at (0.000, 0.000, 0.500), Ho at (0.167, 0.500, 0.835), Se at (0.003, 0.500, 0.742), Se at (0.164, 0.000, 0.591) and Se at (0.170, 0.000, 0.076).

Its formation energy from raw total energies is -1.784 eV/atom. The calculation puts the density of states at the Fermi level at 10.56 states/eV/f.u.



[3]
CePm3Sm6Ho2 | PBE | relaxed

The space group is C2/m (No. 12) and the conventional cell measures 6.256, 10.835 and 11.987 Å, with angles of 90.00, 100.06 and 90.00 degrees. Symmetry generates all atoms from Ce at (0.000, 0.000, 0.000), Pm at (0.000, 0.167, 0.500), Pm at (0.000, 0.500, 0.500), Sm at (0.248, 0.166, 0.247), Sm at (0.249, 0.000, 0.753) and Ho at (0.000, 0.333, 0.000).

The calculation puts the density of states at the Fermi level at 21.00 states/eV/f.u. The value obtained for the formation energy is 0.04 eV per atom.



[4]
Ce2PmSm6Ho3 | PBE | relaxed

The space group is C2/m (No. 12) and the conventional cell measures 6.212, 10.762 and 11.886 Å, with angles of 90.00, 100.08 and 90.00 degrees. Symmetry generates all atoms from Ce at (0.000, 0.167, 0.000), Pm at (0.000, 0.500, 0.000), Sm at (0.248, 0.000, 0.251), Sm at (0.248, 0.168, 0.749), Ho at (0.000, 0.000, 0.500) and Ho at (0.000, 0.334, 0.500).

The calculation puts the density of states at the Fermi level at 23.74 states/eV/f.u. The value obtained for the formation energy is 0.05 eV per atom.



[5]
Ce2PmSm3Ho6 | PBE | relaxed

The space group is C2/m (No. 12) and the conventional cell measures 6.172, 10.690 and 11.730 Å, with angles of 90.00, 100.09 and 90.00 degrees. Symmetry generates all atoms from Ce at (0.000, 0.167, 0.000), Pm at (0.000, 0.500, 0.000), Sm at (0.000, 0.000, 0.500), Sm at (0.000, 0.334, 0.500), Ho at (0.247, 0.000, 0.248) and Ho at (0.249, 0.168, 0.752).

The calculation puts the density of states at the Fermi level at 20.72 states/eV/f.u. The value obtained for the formation energy is 0.05 eV per atom.



[6]
CePmHoSn | PBE | relaxed
-- stop --
**Back to the entry:**

What should the priority be for radiologists moving towards value-based care?


As I tell my residents, we’ve got to be available for referring physicians, to collaborate and be there. It has got to be a team approach. The other aspect, which is extremely important, is the patient. We have to put the patient at the centre of care. The patient is what counts. We have to step aside, put the patient where they belong and collaborate with the patient as well. If we can do this in a team-based approach with the referring doctor, the radiologist, the patient and the administration, this is the way we are going to improve healthcare and continue to provide value.


Are younger radiologists prepared for this change to value-based healthcare?


My perception, based on working with young radiologists, is that it’s a different generation. The millennial generation really wants to be more involved. They are much more team-oriented, and they don’t remember how radiology was previously. For many older radiologists, if they are not generating the same income, they feel like they are failing. Younger radiologists have never experienced that way of working, so for them it is about working as a team and solving problems. I also think a lot of them value life in the work-life balance as well. There are many people from my generation, who are very dedicated physicians, but who do not have time to spend with their families. But the younger generation, they want to spend time with their family.


How can radiologists work with referring physicians to ensure only the best value and appropriate imaging is performed?

The most important aspect is collaboration. Fortunately, there are initiatives underway to make it easier for radiologists to do this, including Radiology Support Communication and Alignment Network (R-SCAN)™ (, and the Imaging 3.0 case studies, both provided by the ACR. For example, in one organisation, by collaborating closely with the emergency room physicians, radiologists were able to decrease unnecessary imaging by 50%. This is an active process, which is funded through the Transforming Clinical Practice Initiative of the Centers for Medicare & Medicaid Services (CMS). By using resources from the ACR, such as R-SCAN™, research from the Harvey L. Neiman Health Policy Institute, and also drawing on Image Wisely® and Image Gently®, we are going to make sure that we’re doing appropriate imaging and that patients are getting the best care they need with the least amount of radiation.


In your own organisation, the Veterans Health Administration, how is the transition to value-based healthcare being managed?


The Veterans Health Administration (VHA) is a federal organisation; it’s the largest healthcare system in the United States. I have worked both in private practice and now for the VHA. When I was in private practice, I wanted to help patients and provide value. However, I felt pressure, as did a lot of my colleagues, to generate a high volume. At the VHA they don’t ask for the same metrics or the same volume as the private sector. They want us to focus on providing value, to not do unnecessary imaging and to stop excess radiation to the patient. We face less pressure from that point of view. We also have a very robust integrated healthcare system. If a patient is seen in a different state to mine, I have access to the charts. I can pull together the information and make sure I give them a value-based interpretation.


In 2014, the VHA published their Blueprint for excellence (Veterans Health Administration 2014). This recognised that, like other healthcare organisations, the VHA has to improve performance, promote a positive culture of service, advance healthcare innovation and increase operational effectiveness and accountability. The VA has established a Center for Innovation (www.innovation. that encourages employee participation, including ‘spark’ grants to support proof-of-concepts through to ‘seed’ and ‘spread’ grants. Designing for veterans: a toolkit for human-centered design (Veterans Administration 2015) supports the move to patient-centred medicine, putting the patient at the centre of care.



Veterans Health Administration (2014) Blueprint for excellence. [Accessed: 23 January 2017] Available from


US Department of Veteran Affairs (2015) Designing for Veterans. A Toolkit for Human-Centered Design [Accessed: 23 January 2017] Available from